This past Saturday, Jonathon brought me along to a friend's family farm for an annual weekend party that...well...

TAKE ME HOME The brand new album out now! Featuring Live While We're Young and Little Things. iTunes: Amazon: Official Store: Music video by One Direction performing Live While We're Young. (C) 2012 Simco Limited under exclusive license to Sony Music Entertainment UK Limited

Okay.  Jonathon came back from this party last year and told me how he spent his weekend.  "Lies.  All lies," I insisted.  And when we arrived this year, I was so pissed that he was right (and he kept laughing at me in my incredulous wrongness).  Look, I can try to describe it, but it will save us all a lot of time if you just trust that 99% of what you see in this music video actually transpired in real life (somebody else said it was like living in a CW show).  

Oh, but with more fireworks, both purposeful and accidental.

Around one AM, with the ridiculously large bonfire finally losing its novelty and with no tent to our name, Jonathon and I retired to the finished loft above a garage, where several people had already sprawled out on air mattresses and sleeping bags.  At 6:15, I woke up to abundant sunshine and chirping birds.  I thought about grabbing a change of clothes and heading out for a solitary stroll, but more people had settled in around us after we'd dozed off, and I was effectively marooned on our sleeping bag.  My phone still had most of its charge, and I briefly checked email and the news.  I wasn't really feeling it, but neither did I feel like I could go back to bed.  Then I realized I could reach my book* without noisily disturbing the sleeping crowd, so that's what I did.

Sometimes my mind would wander from reading, and I'd stare out into space.  But the hissing of ripstop polyester tossing and turning often crescendoed over the ambient sounds of a rustic morning, reminding me that I ran the risk of creeping people out by being wide awake without any task.  So I'd bring my awareness back to the book in my left hand and the hi-liter in my right.  And every once in a while, another person did wake up.  They'd tiptoe through the maze of flannel-clad humans, go downstairs to use the bathroom, then return to their bedding for more shut-eye.  Eventually I felt my own eyelids becoming heavier.  Because it seemed a shame to stop only ten pages from a new chapter, I willed myself to finish the one I had started.  And once I was done, I conked out 'til midday.

There's a lesson here for times I find myself lacking motivation: read like I'm surrounded by casual acquaintances who could wake up at any moment.

I'm still a little miffed about the implausible perfection of these outdoors.

I'm still a little miffed about the implausible perfection of these outdoors.



~~~
[1]
# Sm6VO12

An optimized crystal structure of Sm6VO12 (GGA+U, the Alexandria database).

```
Sm6VO12
1.0
4.988 2.880 3.191
-4.988 2.880 3.191
0.000 -5.759 3.191
Sm V O
6 1 12
Cartesian
-3.407 -1.069 4.937 Sm
-0.778 -3.485 4.636 Sm
-2.629 2.416 4.636 Sm
2.629 -2.416 4.937 Sm
0.778 3.485 4.937 Sm
3.407 1.069 4.636 Sm
0.000 0.000 4.786 V
-4.258 0.924 4.113 O
-2.929 -3.225 5.460 O
-1.121 -1.219 3.758 O
1.329 -4.149 4.113 O
-0.495 1.581 3.758 O
-1.617 0.362 5.814 O
1.617 -0.362 3.758 O
0.495 -1.581 5.814 O
-1.329 4.149 5.460 O
1.121 1.219 5.814 O
2.929 3.225 4.113 O
4.258 -0.924 5.460 O
```

Computed properties:
Its space group is R-3 (148). For the total magnetic moment, the calculation gives 0.06 μB/atom. The theoretical density comes out at 6.9 g/cm3.

***

[2]
# SmV2O6

An optimized crystal structure of SmV2O6 (GGA+U, the Alexandria database).

```
SmV2O6
1.0
6.174 0.000 0.000
-3.087 5.347 0.000
0.000 0.000 2.759
Sm V O
1 2 6
Cartesian
0.000 0.000 0.000 Sm
0.000 3.565 0.652 V
3.087 1.782 2.108 V
-1.389 3.838 2.034 O
0.458 2.225 2.034 O
2.156 0.716 0.725 O
0.931 4.631 2.034 O
2.629 3.122 0.725 O
4.476 1.509 0.725 O
```

Computed properties:
Its space group is P-3 (147). For the total magnetic moment, the calculation gives 0.08 μB/atom. The theoretical density comes out at 6.3 g/cm3.

***

[3]
# SmVO3

An optimized crystal structure of SmVO3 (GGA+U, the Alexandria database).

```
SmVO3
1.0
7.729 0.000 0.000
0.000 5.438 0.000
-0.018 0.000 5.762
Sm V O
4 4 12
Cartesian
1.932 0.103 0.375 Sm
1.923 2.616 3.255 Sm
5.787 2.822 2.506 Sm
5.778 5.335 5.387 Sm
-0.009 0.000 2.881 V
0.000 2.719 0.000 V
3.855 0.000 2.881 V
3.864 2.719 0.000 V
0.410 1.041 4.583 O
0.420 1.678 1.702 O
1.913 3.282 5.564 O
1.922 4.875 2.683 O
3.447 1.084 4.655 O
3.456 1.635 1.774 O
4.255 3.803 3.988 O
4.264 4.354 1.107 O
5.789 0.563 3.079 O
5.798 2.156 0.198 O
7.291 3.760 4.059 O
7.300 4.397 1.178 O
```

Computed properties:
Its space group is P2_1/c (14). For the total magnetic moment, the calculation gives 0.40 μB/atom. The theoretical density comes out at 6.8 g/cm3.

***

Number 1: DFT total energy -8.060 eV/atom. Number 2: DFT total energy -7.292 eV/atom. Number 3: DFT total energy -8.221 eV/atom.

* * * * *

Entry 1:
# Ba3Zn2As4, optimized geometry, DFT GGA-PBE
# ΔE to the lowest computed polymorph: 103.5 meV/atom
# VASP energy: -3.743 eV per atom
# mass density: 5.65 g/cm³
# V: 247.7 Å³/cell
data_Ba3Zn2As4
_chemical_formula_sum 'Ba3 Zn2 As4'
_symmetry_space_group_name_H-M 'P 1'
_symmetry_Int_Tables_number 1
_symmetry_space_group_name_Hall 'P 1'
_cell_length_a 4.633
_cell_length_b 6.618
_cell_length_c 9.213
_cell_angle_alpha 109.22
_cell_angle_beta 90.00
_cell_angle_gamma 110.49
loop_
_atom_site_label
_atom_site_type_symbol
_atom_site_fract_x
_atom_site_fract_y
_atom_site_fract_z
_atom_site_occupancy
Ba1 Ba 0.000 0.000 0.000 1
As1 As 0.726 0.452 0.059 1
As2 As 0.118 0.236 0.397 1
As3 As 0.274 0.548 0.941 1
Ba2 Ba 0.614 0.227 0.685 1
Ba3 Ba 0.386 0.773 0.315 1
~~~

*Someone asked me later in the day what I had been reading.  It took my a good ten seconds to come up with Marvin Carlson's The Haunted Stage: The Theatre as Memory Machine (an excellent book I've long been meaning to read more of, and not simply because it was written by one of my professors).  Reading may have been the best use of my time in this particular situation, but I don't think I'm at my most efficient at six o'clock in the morning.

AuthorMaria Cristina Garcia

Jonathon and I regularly reminisce about all we've forgotten from our excellent high school education.  Immersing myself in calculus is one luxury I have no room for (at least not until I've either gotten a terminal degree or realized my dream of being a shepherdess in the Outer Hebrides) but I'm getting reacquainted with history.  Cross training for the First Exam,* if you will.

A wide variety of nonfiction books would be ideal, but I'm text-booking it for efficiency's sake.  Currently, I'm working my way through William R. Keylor's The Twentieth-Century World and Beyond.  This activity is about a seventy-thirty split between refreshing my memory and learning new things, all the while entertaining myself by reading snark into Bill's (may I call him Bill?) writing.  Take these two paragraphs for example:

It was not until the decade of the 1890s that the United States, having become an industrial power of the first rank and consolidated political control of the territory on its own continent, acquired the economic and military capability to project its power to the southern half of the its hemisphere.  The pursuit of American strategic and economic interests in the Caribbean region in particular and in Latin America in general was justified, as has so often been the case in American foreign policy, by a high-sounding moral principle,  Just as the westward continental expansion of the nineteenth century was touted as the "manifest destiny" of a chosen people on the march, the subsequent extension of American hegemony over Latin America at the expense of European powers was couched in two moralistic phrases: "hemispheric solidarity" and the more commonly used "Pan-Americanism."

The ideology of Pan-Americanism was rooted in two myths about the geographical and political conditions of the western hemisphere.  The first was the widespread misconception that the two continents of the new world formed a single geographic unit that stood apart from the other continents of the earth.  In reality the continents of North and South America, though connected by a narrow strip of land, achieved their normal communication by sea in the nineteenth century and by air later in the twentieth.  By sea, Rio de Janeiro is considerably closer to the west coast of Africa than to any port in the United States.  By air, Washington is closer to Moscow than to Buenos Aires.  The myth of political affinity derived from the use of the term "republic" as a label for the governmental systems of the Latin American nations.  As "sister republics," the United States and the countries to the south came to be regarded as joint custodians of a common legacy of democratic government that distinguished them from the monarchical tradition of the old world.  The perpetual tendency of the reputed "republics" of Latin America to lapse into various forms of dictatorship while the nations of Western Europe moved toward democratic rule belied such sentimental invocations of a hemispheric partnership of republicanism.**

It's there, right?  I'm not just imagining the barely restrained snark?

The other thing I like about this particular excerpt is the context it provides for the refrain of the Cole Porter song "The Good-Will Movement" from the ridiculous musical Mexican Hayride (1944):

A super-step
Is the Good-Will Movement,
It's in that pep,
Pan-American mood.



*When three of my professors will spend six hours over two days quizzing me on all of theatre history ever.

**pp 20-21